/*
Arrangement P

Computed, not measured: crystalline Mg2AlP at its relaxed geometry at the PBE-GGA level of DFT.

Cell and atoms, written as POSCAR:
```
Mg2AlP
1.0
-0.4951 1.2003 -3.7459
1.6203 -5.7209 -2.0428
-6.6907 -1.8672 0.2884
Mg Al P
4 2 2
Direct
0.7491 0.4974 0.7420
0.2509 0.5026 0.2580
0.2501 0.9967 0.1694
0.7499 0.0033 0.8306
0.2497 0.8457 0.5288
0.7503 0.1543 0.4712
0.7504 0.2607 0.1297
0.2496 0.7393 0.8703
```

Properties
Space group: P2_1/m (11)
Density: 2.04 Mg/m³
Magnetization: 0.0 μB per formula unit


Arrangement Q

Computed, not measured: crystalline Mg2AlP at its relaxed geometry at the PBE-GGA level of DFT.

Cell and atoms, written as POSCAR:
```
Mg2AlP
1.0
-2.9137 2.1803 6.9785
-7.0497 1.1531 -3.3037
-5.6474 -0.9009 2.3616
P Mg Al
2 4 2
Direct
0.0000 0.0000 0.0000
0.7500 0.2500 0.5000
0.6921 0.1250 0.2500
0.0579 0.6250 0.2500
0.3750 0.3079 0.7500
0.8750 0.9421 0.7500
0.5000 0.5000 0.0000
0.2500 0.7500 0.5000
```

Properties
Space group: I-42d (122)
Density: 2.11 Mg/m³
Magnetization: 0.0 μB per formula unit


Arrangement R

Computed, not measured: crystalline Mg2AlP at its relaxed geometry at the PBE-GGA level of DFT.

Cell and atoms, written as POSCAR:
```
Mg2AlP
1.0
-3.7894 -3.0954 3.5396
-1.4083 -2.1805 5.4527
-2.7897 2.6967 2.1824
Al Mg P
1 2 1
Direct
0.1959 0.1959 0.3047
0.0035 0.0035 0.9963
0.7935 0.7935 0.7069
0.5071 0.5071 0.4922
```

Properties
Space group: Cm (8)
Density: 2.32 Mg/m³
Magnetization: 0.0 μB per formula unit


Arrangement S

Computed, not measured: crystalline Mg2AlP at its relaxed geometry at the PBE-GGA level of DFT.

Cell and atoms, written as POSCAR:
```
Mg2AlP
1.0
6.2853 0.0000 -0.0065
0.0000 4.0118 0.0000
-0.7619 0.0000 6.7394
Mg Al P
4 2 2
Direct
0.5884 0.5000 0.8872
0.8411 0.0000 0.2318
0.2976 0.0000 0.1343
0.2449 0.5000 0.5125
0.9346 0.0000 0.7894
0.8096 0.5000 0.5434
0.5409 0.5000 0.2656
0.3230 0.0000 0.7604
```

Properties
Space group: Pm (6)
Density: 2.08 Mg/m³
Magnetization: 0.0 μB per formula unit


arrangement S comes first in stability; the runner-up is 0.029 eV/atom higher.


Arrangement P

Computed, not measured: crystalline Mg2AlP at its relaxed geometry at the PBE-GGA level of DFT.

Cell and atoms, written as POSCAR:
```
Mg2AlP
1.0
4.0153 0.1741 -0.0774
-1.7467 5.6673 -0.0151
-2.1976 -1.4690 7.1903
Mg Al P
4 2 2
Direct
0.6100 0.3354 0.0536
0.8548 0.1660 0.7121
0.1583 0.7786 0.9123
0.0534 0.7458 0.4910
0.5689 0.0113 0.3041
0.2456 0.2786 0.4292
0.4634 0.5174 0.7405
0.3209 0.5867 0.2326
```

Properties
Space group: P1 (1)
Density: 2.15 Mg/m³
Magnetization: 0.0 μB per formula unit


Arrangement Q

Computed, not measured: crystalline Mg2AlP at its relaxed geometry at the PBE-GGA level of DFT.

Cell and atoms, written as POSCAR:
```
Mg2AlP
1.0
3.4937 0.0000 0.0000
0.0000 3.6385 0.2170
0.0000 3.3169 5.9333
Al Mg P
1 2 1
Direct
0.5000 0.7500 0.7500
0.0000 0.9852 0.0132
0.0000 0.5148 0.4868
0.5000 0.2500 0.2500
```

Properties
Space group: P2/m (10)
Density: 2.43 Mg/m³
Magnetization: 0.0 μB per formula unit


arrangement P comes first in stability; the runner-up is 0.114 eV/atom higher.


Arrangement P

Computed, not measured: crystalline MgAlPPb2 at its relaxed geometry at the PBE-GGA level of DFT.

Cell and atoms, written as POSCAR:
```
MgAlPPb2
1.0
-1.6791 -0.9761 -5.3607
5.4442 -0.0703 -1.6924
0.1782 -4.4757 0.7592
Pb P Mg Al
2 1 1 1
Direct
0.0000 0.5000 0.0000
0.5000 0.0000 0.0000
0.0000 0.0000 0.0000
0.5000 0.5000 0.5000
0.0000 0.0000 0.5000
```

Properties
Space group: P4/mmm (123)
Density: 5.58 Mg/m³
Magnetization: 0.0 μB per formula unit


Arrangement Q

Computed, not measured: crystalline MgAlPPb2 at its relaxed geometry at the PBE-GGA level of DFT.

Cell and atoms, written as POSCAR:
```
MgAlPPb2
1.0
-1.1976 -3.6561 4.1046
4.2396 0.6696 1.8335
-2.0251 4.1989 3.1492
Pb P Mg Al
2 1 1 1
Direct
0.0000 0.0000 0.5000
0.5000 0.0000 0.0000
0.0000 0.5000 0.0000
0.0000 0.0000 0.0000
0.5000 0.5000 0.5000
```

Properties
Space group: P4/mmm (123)
Density: 5.58 Mg/m³
*/

What is needed: duplicate the whole of the lines further up unchanged.

Arrangement P

Computed, not measured: crystalline Mg2AlP at its relaxed geometry at the PBE-GGA level of DFT.

Cell and atoms, written as POSCAR:
```
Mg2AlP
1.0
-0.4951 1.2003 -3.7459
1.6203 -5.7209 -2.0428
-6.6907 -1.8672 0.2884
Mg Al P
4 2 2
Direct
0.7491 0.4974 0.7420
0.2509 0.5026 0.2580
0.2501 0.9967 0.1694
0.7499 0.0033 0.8306
0.2497 0.8457 0.5288
0.7503 0.1543 0.4712
0.7504 0.2607 0.1297
0.2496 0.7393 0.8703
```

Properties
Space group: P2_1/m (11)
Density: 2.04 Mg/m³
Magnetization: 0.0 μB per formula unit


Arrangement Q

Computed, not measured: crystalline Mg2AlP at its relaxed geometry at the PBE-GGA level of DFT.

Cell and atoms, written as POSCAR:
```
Mg2AlP
1.0
-2.9137 2.1803 6.9785
-7.0497 1.1531 -3.3037
-5.6474 -0.9009 2.3616
P Mg Al
2 4 2
Direct
0.0000 0.0000 0.0000
0.7500 0.2500 0.5000
0.6921 0.1250 0.2500
0.0579 0.6250 0.2500
0.3750 0.3079 0.7500
0.8750 0.9421 0.7500
0.5000 0.5000 0.0000
0.2500 0.7500 0.5000
```

Properties
Space group: I-42d (122)
Density: 2.11 Mg/m³
Magnetization: 0.0 μB per formula unit


Arrangement R

Computed, not measured: crystalline Mg2AlP at its relaxed geometry at the PBE-GGA level of DFT.

Cell and atoms, written as POSCAR:
```
Mg2AlP
1.0
-3.7894 -3.0954 3.5396
-1.4083 -2.1805 5.4527
-2.7897 2.6967 2.1824
Al Mg P
1 2 1
Direct
0.1959 0.1959 0.3047
0.0035 0.0035 0.9963
0.7935 0.7935 0.7069
0.5071 0.5071 0.4922
```

Properties
Space group: Cm (8)
Density: 2.32 Mg/m³
Magnetization: 0.0 μB per formula unit


Arrangement S

Computed, not measured: crystalline Mg2AlP at its relaxed geometry at the PBE-GGA level of DFT.

Cell and atoms, written as POSCAR:
```
Mg2AlP
1.0
6.2853 0.0000 -0.0065
0.0000 4.0118 0.0000
-0.7619 0.0000 6.7394
Mg Al P
4 2 2
Direct
0.5884 0.5000 0.8872
0.8411 0.0000 0.2318
0.2976 0.0000 0.1343
0.2449 0.5000 0.5125
0.9346 0.0000 0.7894
0.8096 0.5000 0.5434
0.5409 0.5000 0.2656
0.3230 0.0000 0.7604
```

Properties
Space group: Pm (6)
Density: 2.08 Mg/m³
Magnetization: 0.0 μB per formula unit


arrangement S comes first in stability; the runner-up is 0.029 eV/atom higher.


Arrangement P

Computed, not measured: crystalline Mg2AlP at its relaxed geometry at the PBE-GGA level of DFT.

Cell and atoms, written as POSCAR:
```
Mg2AlP
1.0
4.0153 0.1741 -0.0774
-1.7467 5.6673 -0.0151
-2.1976 -1.4690 7.1903
Mg Al P
4 2 2
Direct
0.6100 0.3354 0.0536
0.8548 0.1660 0.7121
0.1583 0.7786 0.9123
0.0534 0.7458 0.4910
0.5689 0.0113 0.3041
0.2456 0.2786 0.4292
0.4634 0.5174 0.7405
0.3209 0.5867 0.2326
```

Properties
Space group: P1 (1)
Density: 2.15 Mg/m³
Magnetization: 0.0 μB per formula unit


Arrangement Q

Computed, not measured: crystalline Mg2AlP at its relaxed geometry at the PBE-GGA level of DFT.

Cell and atoms, written as POSCAR:
```
Mg2AlP
1.0
3.4937 0.0000 0.0000
0.0000 3.6385 0.2170
0.0000 3.3169 5.9333
Al Mg P
1 2 1
Direct
0.5000 0.7500 0.7500
0.0000 0.9852 0.0132
0.0000 0.5148 0.4868
0.5000 0.2500 0.2500
```

Properties
Space group: P2/m (10)
Density: 2.43 Mg/m³
Magnetization: 0.0 μB per formula unit


arrangement P comes first in stability; the runner-up is 0.114 eV/atom higher.


Arrangement P

Computed, not measured: crystalline MgAlPPb2 at its relaxed geometry at the PBE-GGA level of DFT.

Cell and atoms, written as POSCAR:
```
MgAlPPb2
1.0
-1.6791 -0.9761 -5.3607
5.4442 -0.0703 -1.6924
0.1782 -4.4757 0.7592
Pb P Mg Al
2 1 1 1
Direct
0.0000 0.5000 0.0000
0.5000 0.0000 0.0000
0.0000 0.0000 0.0000
0.5000 0.5000 0.5000
0.0000 0.0000 0.5000
```

Properties
Space group: P4/mmm (123)
Density: 5.58 Mg/m³
Magnetization: 0.0 μB per formula unit


Arrangement Q

Computed, not measured: crystalline MgAlPPb2 at its relaxed geometry at the PBE-GGA level of DFT.

Cell and atoms, written as POSCAR:
```
MgAlPPb2
1.0
-1.1976 -3.6561 4.1046
4.2396 0.6696 1.8335
-2.0251 4.1989 3.1492
Pb P Mg Al
2 1 1 1
Direct
0.0000 0.0000 0.5000
0.5000 0.0000 0.0000
0.0000 0.5000 0.0000
0.0000 0.0000 0.0000
0.5000 0.5000 0.5000
```

Properties
Space group: P4/mmm (123)
Density: 5.58 Mg/m³